"Cool. So," I rubbed my hands together, "where were we?"

"Before you explained recursion, you were connecting another dot on our model. You said that each Markov blanket is optimizing for the same thing."

"Oh yeah," I smiled. "Let's incorporate that dot into our model. So far, our model looks something like this: a hierarchy of Markov blankets. The whole system is pulling towards entropy, and the inner blankets are pushing against it — hence why those 'things' remain something 'in particular.'"

Our current model of the universe

"Now," I continued, "instead of using circles to represent Markov blankets, let's use Sierpiński triangles. This visually communicates that each Markov blanket is recursive."

Our new model of the universe. Markov blankets are represented by Sierpiński triangles.

"Why is there an elephant inside my mind's Markov blanket?" Zac asked.

"Think about an elephant right now," I said.


"Are you thinking about an elephant?"


"Can you distinguish that elephant from what it is not?"

"Yes. Otherwise, I couldn't label it an elephant."

"Then the elephant in your mind has a Markov blanket. Your ideas and imagination are running the same algorithmic optimization as everything outside of you. This model is infinitely recursive. As above, so below; as within, so without."

"Okay..." Zac thought. "Does that mean there are multiple universes, each with their own Markov blanket?"

"Probably," I shrugged. "There's no reason to believe our universe is the only one out there. There are probably tons of other realms, each existing in their own Markov blanket."

"But the overarching Markov blanket that encompasses everything is God's Markov blanket, right? Like, God is the biggest triangle, and all the other Markov blankets sit within his triangle?"

"Mmmm…. Yes and no," I replied. "Our ability to comprehend infinity is very limited because we live in the world of the relative. It's hard for us to understand what it means to have no beginning or end. When I draw this model, there is clearly a beginning, because the beginning starts when I draw that first big all-encompassing triangle.

I guess I'm trying to say — yes, God is the all-encompassing Markov blanket that encloses everything. But that implies that God is finite because God is the beginning. A more accurate representation might involve fleshing out the model so God is both the beginning and the end, like an Ouroboros — a snake eating its tail."

"Then what is above God's Markov blanket?" Zac asked. "If God is the beginning, then why is there another beginning outside God? Doesn't that imply there is something greater than God?"

"There is nothing but God," I sighed. "God is the beginning. But God is also the end. Remember the Sierpiński triangle folding in on itself?"

In this optical illusion, the beginning is the end. Look at the large triangle, then zoom into the smaller one. You'll then notice that the smaller one is the bigger one. 

"Actually," I continued, "let me read this passage from Conversations With God. It might articulate this idea more clearly."

You see now how I am the beginning and the end of everything, the Alpha and the Omega.

Now I will explain to you the ultimate mystery: your exact and true relationship to Me.


As your body is to your mind and soul, so, too, are you to My mind and soul. Therefore:

Someone pasted data records at this point:
........
# 1
Compound: Lu8In3Co
Source: Materials Project
Functional: PBE
Structure: optimized geometry

a b c (Å): 10.1502 10.1502 6.8495
angles (deg): 90.00 90.00 120.00
Fractional positions:
Lu (0.0000, 0.0000, 0.2739)
Lu (0.0000, 0.0000, 0.7739)
Lu (0.0668, 0.5334, 0.2921)
Lu (0.1789, 0.3578, 0.0000)
Lu (0.1789, 0.8211, 0.0000)
Lu (0.3333, 0.6667, 0.6781)
Lu (0.3578, 0.1789, 0.5000)
Lu (0.4666, 0.5334, 0.2921)
Lu (0.4666, 0.9332, 0.2921)
Lu (0.5334, 0.0668, 0.7921)
Lu (0.5334, 0.4666, 0.7921)
Lu (0.6422, 0.8211, 0.0000)
Lu (0.6667, 0.3333, 0.1781)
Lu (0.8211, 0.1789, 0.5000)
Lu (0.8211, 0.6422, 0.5000)
Lu (0.9332, 0.4666, 0.7921)
In (0.1635, 0.3270, 0.5381)
In (0.1635, 0.8365, 0.5381)
In (0.3270, 0.1635, 0.0381)
In (0.6730, 0.8365, 0.5381)
In (0.8365, 0.1635, 0.0381)
In (0.8365, 0.6730, 0.0381)
Co (0.3333, 0.6667, 0.0635)
Co (0.6667, 0.3333, 0.5635)

Magnetization, μB per atom: 0.000
Energy relative to the elements, eV per atom: -0.354
Total DFT energy (no corrections), eV/atom: -4.648

# 2
Compound: CuC3N2O5
Source: Materials Project
Functional: PBE
Structure: optimized geometry

a b c (Å): 7.5585 7.7903 8.8175
angles (deg): 91.65 110.69 114.65
Fractional positions:
Cu (0.1431, 0.1005, 0.1284)
Cu (0.8569, 0.8995, 0.8716)
C (0.1950, 0.7617, 0.9963)
C (0.2027, 0.2216, 0.8171)
C (0.4361, 0.7302, 0.5935)
C (0.5639, 0.2698, 0.4065)
C (0.7973, 0.7784, 0.1829)
C (0.8050, 0.2383, 0.0037)
N (0.2362, 0.6490, 0.4724)
N (0.3331, 0.8408, 0.5568)
N (0.6669, 0.1592, 0.4432)
N (0.7638, 0.3510, 0.5276)
O (0.0450, 0.6626, 0.8750)
O (0.0585, 0.1357, 0.6893)
O (0.3484, 0.8558, 0.1169)
O (0.3504, 0.3114, 0.9425)
O (0.4056, 0.2882, 0.3242)
O (0.5944, 0.7118, 0.6758)
O (0.6496, 0.6886, 0.0575)
O (0.6516, 0.1442, 0.8831)
O (0.9415, 0.8643, 0.3107)
O (0.9550, 0.3374, 0.1250)

E above lowest polymorph, meV per atom: 0.0
Magnetization, μB per atom: 0.030
Energy relative to the elements, eV per atom: -0.641
Total DFT energy (no corrections), eV/atom: -6.983

# 3
Compound: CeSe2
Source: Materials Project
Functional: PBE
Structure: optimized geometry

a b c (Å): 7.4725 7.4725 7.4725
angles (deg): 126.42 90.44 113.49
Fractional positions:
Ce (0.2500, 0.2500, 0.0000)
Ce (0.7500, 0.7500, 0.0000)
Se (0.1170, 0.1994, 0.3164)
Se (0.3830, 0.6994, 0.0825)
Se (0.6170, 0.3006, 0.9175)
Se (0.8830, 0.8006, 0.6836)

Magnetization, μB per atom: 0.000
Energy relative to the elements, eV per atom: -1.415
Total DFT energy (no corrections), eV/atom: -5.408

* * * * *

Entry P
Computed, not measured: a relaxed Li5Co2O6 crystal at the PBE with a Hubbard U level of DFT.

abc: 12.5266 12.7291 3.4914
angles: 90.00 90.00 90.00
With the nearest neighbours (Å) after each atom.
Space group Cmmm (No. 65)
Asymmetric unit:
Li 0.1045 0.2162 0.0000 (multiplicity 8)  4 O 1.96-2.03
Li 0.1705 0.5000 0.0000 (multiplicity 4)  4 O 1.98-1.99
Li 0.2379 0.3654 0.5000 (multiplicity 8)  3 O 1.89-1.92
Co 0.0000 0.3848 0.5000 (multiplicity 4)  4 O 1.75-1.89
Co 0.1106 0.0000 0.0000 (multiplicity 4)  4 O 1.79-1.84
........

Everything I experience, I experience through you.

Just as your body, mind, and spirit are one, so, too, are Mine.

So it is that Jesus of Nazareth, among the many who understood this mystery, spoke immutable truth when he said, “I and the Father are One.” Now I will tell you, there are even larger truths than this to which you will one day become privy. For even as you are the body of Me, I am the body of another.

You mean, You are not God?

Yes, I am God, as you now understand Him. I am Goddess as you now comprehend Her. I am the Conceiver and the Creator of Everything you now know and experience, and you are My children… even as I am the child of another.

Are You trying to tell me that even God has a God?

I am telling you that your perception of ultimate reality is more limited than you thought, and that Truth is more unlimited than you can imagine. I am giving you ever-so-small a glimpse of infinity—and infinite love. (A much larger glimpse and you could not hold it in your reality. You can barely hold this.)

~~~
No. 1
Entry from Materials Project: a relaxed structure of V7O6F9 (GGA+U).

POSCAR file:
```
V7O6F9
1.0
-1.8688 -8.8452 -4.1617
17.8077 -2.7598 -2.1307
0.9080 -2.2908 4.4610
V O F
28 24 36
direct
0.1486 0.0716 0.6869
0.1481 0.9291 0.2572
0.1467 0.3478 0.5631
0.1422 0.6536 0.3811
0.1447 0.4918 0.0462
0.1497 0.2103 0.1864
0.1484 0.7912 0.8942
0.3503 0.7897 0.3968
0.3516 0.2088 0.6854
0.3553 0.5082 0.5379
0.3578 0.3464 0.0348
0.3533 0.6522 0.9109
0.3514 0.9284 0.7585
0.3519 0.0709 0.1863
0.6481 0.0709 0.6863
0.6486 0.9284 0.2585
0.6422 0.3464 0.5348
0.6467 0.6522 0.4109
0.6447 0.5082 0.0379
0.6497 0.7897 0.8968
0.6484 0.2088 0.1854
0.8516 0.7912 0.3942
0.8503 0.2103 0.6864
0.8553 0.4918 0.5462
0.8578 0.6536 0.8811
0.8533 0.3478 0.0631
0.8514 0.0716 0.1869
0.8519 0.9291 0.7572
0.2362 0.4283 0.7922
0.2305 0.1423 0.9434
0.2304 0.8565 0.5844
0.2306 0.2824 0.8637
0.2318 0.7121 0.6505
0.2500 0.0000 0.4695
0.2500 0.0000 0.9680
0.2682 0.2879 0.3626
0.2694 0.7176 0.1462
0.2695 0.8577 0.0858
0.2696 0.1435 0.4409
0.2638 0.5717 0.2205
0.7362 0.5717 0.7205
0.7305 0.8577 0.5858
0.7304 0.1435 0.9409
0.7306 0.7176 0.6462
0.7318 0.2879 0.8626
0.7500 0.0000 0.4680
0.7500 0.0000 0.9695
0.7694 0.2824 0.3637
0.7682 0.7121 0.1505
0.7695 0.1423 0.4434
0.7696 0.8565 0.0844
0.7638 0.4283 0.2922
0.0016 0.0020 0.1485
0.9984 0.0020 0.6485
0.0255 0.1261 0.3441
0.0270 0.8785 0.9622
0.0302 0.2566 0.5081
0.0346 0.7525 0.2534
0.0466 0.3848 0.1979
0.0330 0.6289 0.0640
0.0356 0.5042 0.3799
0.2153 0.5696 0.7278
0.2847 0.4304 0.2974
0.4644 0.4958 0.8840
0.4670 0.3711 0.6929
0.4534 0.6152 0.5827
0.4654 0.2475 0.0058
0.4698 0.7434 0.7647
0.4730 0.1215 0.8408
0.4745 0.8739 0.4702
0.4984 0.9980 0.1505
0.5016 0.9980 0.6505
0.5255 0.8739 0.9702
0.5270 0.1215 0.3408
0.5302 0.7434 0.2647
0.5346 0.2475 0.5058
0.5466 0.6152 0.0827
0.5330 0.3711 0.1929
0.5356 0.4958 0.3840
0.7153 0.4304 0.7974
0.7847 0.5696 0.2278
0.9644 0.5042 0.8799
0.9670 0.6289 0.5640
0.9534 0.3848 0.6979
0.9698 0.2566 0.0081
0.9654 0.7525 0.7534
0.9730 0.8785 0.4622
0.9745 0.1261 0.8441
```

Results
DFT formation energy in meV/atom: -2833
V in Å³/atom: 10.36
VASP energy in eV per atom: -6.94
Space group: Aea2
Spin magnetization in μB/f.u.: 14.00

---

No. 2
Entry from Materials Project: a relaxed structure of V2OF5 (GGA+U).

POSCAR file:
```
V2OF5
1.0
3.7621 -3.4585 -0.9530
-4.4192 1.9792 -10.4180
3.2406 3.9938 -1.7034
V O F
6 3 15
direct
0.8302 0.6632 0.1689
0.6691 0.3143 0.3429
0.4883 0.9907 0.5048
0.3312 0.6751 0.6623
0.0003 0.0035 0.9978
0.1880 0.3523 0.8238
0.6664 0.1676 0.4159
0.3318 0.4992 0.7508
0.3384 0.8334 0.5834
0.9883 0.1725 0.9136
0.9827 0.3671 0.1182
0.8808 0.3666 0.6170
0.6494 0.4943 0.2531
0.7885 0.9684 0.7161
0.4492 0.2996 0.0484
0.6535 0.6984 0.4501
0.3172 0.0356 0.7835
0.6848 0.9671 0.2141
0.2134 0.0345 0.2832
0.5511 0.6998 0.9524
0.3476 0.3001 0.5495
0.1150 0.6311 0.3831
0.0121 0.6323 0.8836
0.0225 0.8333 0.0835
```

Results
DFT formation energy in meV/atom: -3023
V in Å³/atom: 12.90
~~~
Here the entry continues.

Wait a minute! You mean I’m really not talking with God here?

I have told you—if you conceive of God as your creator and master— even as you are the creator and master of your own body—I am the God of your understanding. And you are talking with Me, yes. It has been a delicious conversation, no?

Delicious or not, I thought I was talking with the real God. The God of Gods. You know—the top guy, the chief honcho.

You are. Believe Me. You are.

And yet You say that there is someone above You in this hierarchical scheme of things.

We are now trying to do the impossible, which is to speak of the unspeakable. As I said, that is what religion seeks to do. Let Me see if I can find a way to summarize this.

Forever is longer than you know. Eternal is longer than Forever. God is more than you imagine. God is the energy you call imagination. God is creation. God is first thought. And God is last experience. And God is everything in between.

Have you ever looked down a high-powered microscope, or seen pictures or movies of molecular action, and said, “Good heavens, there’s a whole universe down there. And to that universe, I, the now-present observer, must feel like God!” Have you ever said that, or had that kind of experience?

Yes, I should imagine every thinking person has.

Indeed. You have given yourself your own glimpse of what I am showing you here.

And what would you do if I told you that this reality of which you have given yourself a glimpse never ends?

Explain that. I’d ask You to explain that.

Take the smallest part of the universe you can imagine. Imagine this tiny, tiny particle of matter.


Now cut it in half.


What have you got?

Two smaller halves.

Precisely. Now cut those in half. What now?

Two smaller halves.

Right. Now again, and again! What’s left?

Smaller and smaller particles.

Yes, but when does it stop? How many times can you divide matter until it ceases to exist?

I don’t know. I guess it never ceases to exist.

You mean you can never completely destroy it? All you can do is change its form?

It would seem so.

I tell you this: you have just learned the secret of all of life, and seen into infinity.

Now I have a question to ask you.


What makes you think infinity goes only one way?—

So… there is no end going up, any more than there is going down.

There is no up or down, but I understand your meaning.

But if there is no end to smallness, that means there is no end to bigness.


But if there is no end to bigness, then there is no biggest. That means, in the largest sense, there is no God!

Or, perhaps—all of it is God, and there is nothing else.

I tell you this: I AM THAT I AM.

And YOU ARE THAT YOU ARE. You cannot not be. You can change form all you wish, but you cannot fail to be. Yet you can fail to know Who You Are— and in this failing, experience only the half of it.

That would be hell.

Exactly. Yet you are not condemned to it. You are not relegated to it forevermore. All that it takes to get out of hell—to get out of not knowing—is to know again.

There are many ways and many places (dimensions) in which you can do this.

You are in one of those dimensions now. It is called, in your understanding, the third dimension.

And there are many more?

Have I not told you that in My Kingdom there are many mansions? I would not have told it to you were it not so.

Then there is no hell—not really. I mean, there is no place or dimension to which we are everlastingly condemned!

What would be the purpose of that?

Yet you are always limited by your knowingness—for you—we—are a self-created being.

You cannot be what you do not know your Self to be.

That is why you have been given this life—so that you might know yourself in your own experience. Then you can conceive of yourself as Who You Really Are, and create yourself as that in your experience—and the circle is again complete… only bigger.

And so, you are in the process of growing—or, as I have put it throughout this book, of becoming.

There is no limit to what you can become.

You mean, I can even become—dare I say it?—a God… just like You?

What do you think?

I don’t know.

Until you do, you cannot. [...]

Can you conceive of yourself as one day being a God?

Materials data, kept here for reference:
VASP calculation (PBE) on a relaxed structure of Ca3HfSi2O9.

Calculated values
Symmetry ... P2_1/c
Formation enthalpy at 0 K ... -3.58 eV per atom
E_tot ... -475.7 eV per cell

Cell and atoms, written as extended XYZ:
```
60
Lattice="7.423 0.000 0.000 0.000 10.259 0.000 -0.244 0.000 10.507" Properties=species:S:1:pos:R:3 pbc="T T T"
Ca 0.861 1.757 0.916
Ca 0.739 3.373 6.170
Ca 2.607 0.799 4.081
Ca 2.485 4.331 9.335
Ca 2.665 7.143 4.218
Ca 2.543 8.247 9.472
Ca 4.636 2.013 1.036
Ca 4.514 3.117 6.289
Ca 4.694 5.929 1.172
Ca 4.572 9.460 6.426
Ca 6.441 6.887 4.337
Ca 6.319 8.503 9.591
Hf 0.874 5.753 1.217
Hf 0.753 9.636 6.471
Hf 6.427 0.624 4.036
Hf 6.305 4.506 9.290
Si 1.076 6.404 7.164
Si 1.198 8.986 1.910
Si 2.783 1.406 8.491
Si 2.905 3.723 3.237
Si 4.275 6.536 7.270
Si 4.397 8.853 2.017
Si 5.982 1.274 8.597
Si 6.104 3.856 3.343
O 0.559 0.023 2.671
O 0.437 5.106 7.925
O 0.561 1.139 5.366
O 0.683 3.990 0.113
O 0.729 7.524 2.500
O 0.607 7.865 7.754
O 0.934 6.304 5.560
O 1.056 9.085 0.306
O 2.060 0.032 7.996
O 2.182 5.098 2.742
O 2.513 6.238 0.177
O 2.391 9.151 5.431
O 2.596 2.381 2.355
O 2.474 2.749 7.608
O 2.584 1.734 10.066
O 2.706 3.396 4.812
O 2.669 6.220 7.645
O 2.791 9.169 2.391
O 4.388 1.091 8.116
O 4.510 4.039 2.862
O 4.474 6.864 5.695
O 4.596 8.525 0.441
O 4.705 7.510 2.899
O 4.583 7.879 8.153
O 4.789 1.108 5.076
O 4.667 4.022 10.330
O 4.997 5.161 7.765
O 5.119 10.228 2.511
O 6.123 1.175 10.201
O 6.245 3.955 4.948
O 6.572 2.394 2.753
O 6.450 2.735 8.007
O 6.497 6.269 10.394
O 6.619 9.120 5.141
O 6.742 5.153 2.583
O 6.620 10.236 7.836
```

=====

Material: Rb2CoB12H20O30
Method: DFT, PBE with a Hubbard U
State: optimized geometry

## Properties
Total DFT energy (no corrections)   -417.93 eV for the cell shown
Calculated formation energy   -2072 meV/atom

Unit cell a=7.577 b=7.917 c=11.135 alpha=107.42 beta=93.52 gamma=92.14
Space group P-1 (No. 2)
Asymmetric unit:
Rb 0.233 0.364 0.405
Co 0.500 0.000 0.000
B 0.046 0.247 0.953
B 0.150 0.864 0.564
B 0.173 0.992 0.798
B 0.342 0.302 0.884
B 0.384 0.113 0.651
B 0.397 0.438 0.713
H 0.110 0.712 0.379
H 0.115 0.571 0.949
H 0.197 0.018 0.125
H 0.210 0.815 0.897
H 0.229 0.555 0.165
H 0.284 0.751 0.248
H 0.367 0.018 0.216
H 0.368 0.698 0.744
H 0.373 0.958 0.408
H 0.490 0.647 0.956
O 0.041 0.072 0.884
O 0.069 0.728 0.465
O 0.086 0.883 0.679
O 0.087 0.697 0.966
O 0.181 0.366 0.948
O 0.189 0.655 0.232
O 0.286 0.974 0.548
O 0.288 0.883 0.856
O 0.293 0.137 0.774
O 0.321 0.066 0.146
O 0.384 0.279 0.620
O 0.396 0.590 0.676
O 0.413 0.446 0.839
O 0.433 0.936 0.327
O 0.470 0.250 0.969

---

Material: MgFeAuO2
Method: DFT, PBE with a Hubbard U
State: optimized geometry

## Properties
Total DFT energy (no corrections)   -52.86 eV for the cell shown
Offset from the most stable computed form   3 kJ/mol of formula units
Calculated formation energy   -1364 meV/atom

Unit cell a=5.371 b=3.092 c=8.385 alpha=90.00 beta=102.84 gamma=90.00
Space group Cm (No. 8)
Asymmetric unit:
Mg 0.000 0.000 0.000
Fe 0.108 0.000 0.329

In my wildest moments.

Good, for I tell you this: You are already a God. You simply do not know it.

Have I not said, “Ye are Gods”?
Conversations With God Neale Donald Walsch
